........
(1)
19
Properties=species:S:1:pos:R:3:forces:R:3:nbo_charge:R:1 method="wB97M-V/def2-TZVPD" de_lowest_kcal_mol=60.0 e_tot_ev=-94603.196 charge=+1 fmax_ev_per_a=3.82 orbital_gap_ev="7.8 / 6.0"
F 1.26398 -0.75443 2.70182 -0.642 0.002 0.703 -0.362
C -0.15892 0.45829 1.25496 -0.608 0.384 -0.061 -0.009
H -0.98804 2.21633 -2.17595 0.045 0.922 0.717 0.254
Br -1.37291 -0.64914 -1.99671 0.338 0.942 0.024 0.211
C 1.06430 -0.31101 1.37031 3.455 -1.636 0.128 0.017
C 0.93972 -1.65104 0.60957 -1.752 2.917 0.724 0.253
H -0.18939 1.43920 1.73956 -0.213 -0.201 -0.632 0.253
Cl 2.26750 -2.10635 -0.22260 1.204 -1.198 -0.743 0.201
C 0.06036 0.53346 -1.70672 0.473 -3.040 -0.432 -0.124
H 2.14578 0.09987 1.22060 -2.471 0.244 -0.590 0.252
C -1.29069 -1.58455 0.89755 -1.318 2.246 0.925 0.298
H 0.62223 2.25298 -2.82616 0.190 -0.573 -0.773 0.279
H -2.30531 -1.88588 0.99829 -0.312 -1.844 -0.331 0.225
H -2.18164 0.16190 1.49809 -0.184 -0.013 -0.276 0.450
N -0.20658 -2.23667 0.56982 0.482 -1.335 -0.754 -0.462
H 0.64860 2.39468 -1.20980 -0.500 0.830 0.834 0.272
H 0.96095 -0.03925 -1.95509 -0.034 0.268 0.710 0.210
N -1.32015 -0.27328 1.20168 2.456 0.380 0.336 -0.464
C 0.04022 1.93491 -1.96923 -0.609 0.706 -0.510 -0.755

=====

(2)
96
Properties=species:S:1:pos:R:3:forces:R:3:mulliken_spin:R:1 method="wB97M-V/def2-TZVPD" de_lowest_kcal_mol=7.0 e_tot_ev=-150037.377 multiplicity=3 charge=0 fmax_ev_per_a=0.79 orbital_gap_ev="7.0 / 6.4"
C -2.94136 1.09953 3.10853 0.037 -0.063 0.002 -0.001
H -3.12573 -2.68122 0.36310 -0.047 -0.002 -0.002 -0.003
H -5.94059 4.34856 -4.45870 0.002 -0.008 0.005 0.000
C 2.32827 3.81968 0.99871 0.026 0.042 -0.073 0.008
C 3.51526 0.67927 -2.55462 0.002 -0.095 -0.013 -0.013
C 3.28362 -0.31400 3.64662 0.022 0.003 0.039 0.017
C -3.30053 -5.59333 2.13793 -0.005 0.002 0.003 0.001
C 5.28333 2.16892 -2.02395 0.019 0.015 0.036 -0.004
C -4.60717 2.67004 -4.25728 0.006 -0.008 0.052 0.000
H -5.09171 -6.35023 3.04954 0.000 0.001 -0.003 0.000
C -0.32055 1.43339 -2.25227 0.094 -0.114 0.013 -0.004
H 6.78619 -2.33764 0.03824 0.017 -0.007 -0.026 0.000
C -1.30615 -0.81865 1.89636 -0.072 -0.084 -0.088 0.008
H -2.43170 0.08096 -4.59724 -0.004 -0.001 0.012 0.000
C -4.73320 2.64318 -2.86877 -0.019 0.031 -0.046 0.000
H 5.71508 2.32482 0.06367 0.012 -0.002 -0.003 0.000
H -2.12332 2.85433 0.30225 0.007 -0.009 0.006 -0.002
C -2.02330 -5.57706 2.68266 -0.014 -0.014 -0.003 0.001
H 2.02361 3.25772 3.06165 -0.006 -0.006 0.000 0.000
H 4.36035 -1.97918 0.05704 -0.057 0.018 0.020 0.015
C 0.77612 2.14079 1.75974 0.006 0.031 0.031 0.019
C -2.69313 -0.13800 3.75116 0.040 -0.018 -0.039 0.001
H 5.44918 1.63141 1.95495 -0.005 0.009 -0.005 0.001
H -1.70569 -6.39033 3.32368 0.011 0.008 0.000 0.000
C 1.97497 3.58443 -0.29897 0.026 0.018 0.046 -0.005
H -4.67821 -7.12758 1.52720 0.002 0.006 -0.003 0.000
C 1.72274 3.08519 2.03648 -0.058 -0.061 0.051 -0.002
H 2.44131 4.12817 -1.11227 0.013 0.009 0.013 0.000
C -1.91198 -1.07140 3.15117 -0.037 0.008 0.095 -0.005
C -2.83562 -3.50153 1.01044 0.076 0.027 0.029 0.006
H 1.12359 2.90699 -2.75305 0.002 0.012 0.001 0.000
C 0.62888 2.35910 -1.96027 0.004 -0.027 0.041 -0.032
C 4.76234 -3.37418 -2.98460 0.069 0.037 0.008 -0.019
C -4.03459 1.72513 -2.10380 0.035 -0.050 0.009 0.001
H -4.15122 1.68599 -1.02744 0.010 -0.003 0.006 0.000
H -3.15091 -0.34132 4.71139 -0.005 0.013 -0.003 0.000
H 1.71111 -1.46739 2.79844 -0.009 0.003 -0.012 0.002
S -0.39545 -2.21806 1.20003 0.010 0.029 0.208 0.004
C -2.58277 2.61704 1.25261 -0.001 0.046 -0.025 0.000
C 2.51378 -0.77087 2.58576 -0.042 -0.019 -0.092 -0.068
C 4.82700 -2.41421 -0.81438 0.054 -0.058 0.000 -0.001
H -4.70445 4.25241 -5.71319 0.007 -0.013 0.003 0.000
C 4.33706 0.56087 3.41867 -0.005 -0.004 0.030 -0.005
H 3.06571 -0.65047 4.65376 0.007 0.006 -0.001 0.000
C -1.43013 0.39832 1.27757 -0.134 0.091 0.110 -0.029
Pd 1.62383 -0.75880 -0.40546 0.296 -0.255 -0.691 1.252
C 6.13380 -3.54327 -2.89068 -0.043 -0.015 -0.035 0.005
N 3.34112 0.38146 -1.27114 -0.198 0.391 0.270 0.112
........
Could you set down the lines further above up to the one that holds "0.012 0.001", that line included?
(1)
19
Properties=species:S:1:pos:R:3:forces:R:3:nbo_charge:R:1 method="wB97M-V/def2-TZVPD" de_lowest_kcal_mol=60.0 e_tot_ev=-94603.196 charge=+1 fmax_ev_per_a=3.82 orbital_gap_ev="7.8 / 6.0"
F 1.26398 -0.75443 2.70182 -0.642 0.002 0.703 -0.362
C -0.15892 0.45829 1.25496 -0.608 0.384 -0.061 -0.009
H -0.98804 2.21633 -2.17595 0.045 0.922 0.717 0.254
Br -1.37291 -0.64914 -1.99671 0.338 0.942 0.024 0.211
C 1.06430 -0.31101 1.37031 3.455 -1.636 0.128 0.017
C 0.93972 -1.65104 0.60957 -1.752 2.917 0.724 0.253
H -0.18939 1.43920 1.73956 -0.213 -0.201 -0.632 0.253
Cl 2.26750 -2.10635 -0.22260 1.204 -1.198 -0.743 0.201
C 0.06036 0.53346 -1.70672 0.473 -3.040 -0.432 -0.124
H 2.14578 0.09987 1.22060 -2.471 0.244 -0.590 0.252
C -1.29069 -1.58455 0.89755 -1.318 2.246 0.925 0.298
H 0.62223 2.25298 -2.82616 0.190 -0.573 -0.773 0.279
H -2.30531 -1.88588 0.99829 -0.312 -1.844 -0.331 0.225
H -2.18164 0.16190 1.49809 -0.184 -0.013 -0.276 0.450
N -0.20658 -2.23667 0.56982 0.482 -1.335 -0.754 -0.462
H 0.64860 2.39468 -1.20980 -0.500 0.830 0.834 0.272
H 0.96095 -0.03925 -1.95509 -0.034 0.268 0.710 0.210
N -1.32015 -0.27328 1.20168 2.456 0.380 0.336 -0.464
C 0.04022 1.93491 -1.96923 -0.609 0.706 -0.510 -0.755

=====

(2)
96
Properties=species:S:1:pos:R:3:forces:R:3:mulliken_spin:R:1 method="wB97M-V/def2-TZVPD" de_lowest_kcal_mol=7.0 e_tot_ev=-150037.377 multiplicity=3 charge=0 fmax_ev_per_a=0.79 orbital_gap_ev="7.0 / 6.4"
C -2.94136 1.09953 3.10853 0.037 -0.063 0.002 -0.001
H -3.12573 -2.68122 0.36310 -0.047 -0.002 -0.002 -0.003
H -5.94059 4.34856 -4.45870 0.002 -0.008 0.005 0.000
C 2.32827 3.81968 0.99871 0.026 0.042 -0.073 0.008
C 3.51526 0.67927 -2.55462 0.002 -0.095 -0.013 -0.013
C 3.28362 -0.31400 3.64662 0.022 0.003 0.039 0.017
C -3.30053 -5.59333 2.13793 -0.005 0.002 0.003 0.001
C 5.28333 2.16892 -2.02395 0.019 0.015 0.036 -0.004
C -4.60717 2.67004 -4.25728 0.006 -0.008 0.052 0.000
H -5.09171 -6.35023 3.04954 0.000 0.001 -0.003 0.000
C -0.32055 1.43339 -2.25227 0.094 -0.114 0.013 -0.004
H 6.78619 -2.33764 0.03824 0.017 -0.007 -0.026 0.000
C -1.30615 -0.81865 1.89636 -0.072 -0.084 -0.088 0.008
H -2.43170 0.08096 -4.59724 -0.004 -0.001 0.012 0.000
C -4.73320 2.64318 -2.86877 -0.019 0.031 -0.046 0.000
H 5.71508 2.32482 0.06367 0.012 -0.002 -0.003 0.000
H -2.12332 2.85433 0.30225 0.007 -0.009 0.006 -0.002
C -2.02330 -5.57706 2.68266 -0.014 -0.014 -0.003 0.001
H 2.02361 3.25772 3.06165 -0.006 -0.006 0.000 0.000
H 4.36035 -1.97918 0.05704 -0.057 0.018 0.020 0.015
C 0.77612 2.14079 1.75974 0.006 0.031 0.031 0.019
C -2.69313 -0.13800 3.75116 0.040 -0.018 -0.039 0.001
H 5.44918 1.63141 1.95495 -0.005 0.009 -0.005 0.001
H -1.70569 -6.39033 3.32368 0.011 0.008 0.000 0.000
C 1.97497 3.58443 -0.29897 0.026 0.018 0.046 -0.005
H -4.67821 -7.12758 1.52720 0.002 0.006 -0.003 0.000
C 1.72274 3.08519 2.03648 -0.058 -0.061 0.051 -0.002
H 2.44131 4.12817 -1.11227 0.013 0.009 0.013 0.000
C -1.91198 -1.07140 3.15117 -0.037 0.008 0.095 -0.005
C -2.83562 -3.50153 1.01044 0.076 0.027 0.029 0.006
H 1.12359 2.90699 -2.75305 0.002 0.012 0.001 0.000